_Exercise_
What is needed: repeat everything further down word for word.

_Data_
[1]
VASP calculation (PBE) on a relaxed CdIn2Cu crystal.

Cell: 4.405 3.382 6.524 Å, 64.80 90.00 90.00°
Element x y z (fractional)
In 0.000 0.887 0.981
In 0.000 0.613 0.519
Cd 0.500 0.250 0.250
Cu 0.500 0.750 0.750

Output
E_form   0.60 eV per formula unit
Theoretical density   7.66 g/cm3

***

[2]
VASP calculation (PBE) on a relaxed BaSeS5 crystal.

Cell: 9.244 9.244 9.425 Å, 59.09 59.09 38.18°
Element x y z (fractional)
Ba 0.358 0.642 0.250
S 0.322 0.158 0.649
S 0.436 0.210 0.175
S 0.158 0.322 0.149
Se 0.000 0.000 0.000
Ba 0.642 0.358 0.750
Se 0.000 0.000 0.500
S 0.790 0.564 0.325
S 0.564 0.790 0.825
S 0.210 0.436 0.675
S 0.144 0.856 0.750
S 0.842 0.678 0.851
S 0.856 0.144 0.250
S 0.678 0.842 0.351

Output
E_form (uncorrected)   -0.37 eV/atom
Theoretical density   2.99 g/cm3

~~~~~

Below is an optimized crystal structure of La3SmSc, with properties calculated at the PBE level.

a b c (Å): 5.164 25.043 5.170
angles (deg): 90.00 90.00 90.00
Space group Cmcm (No. 63)
Unique sites:
La: 0.000 0.052 0.250 (multiplicity 4)
La: 0.000 0.250 0.250 (multiplicity 4)
La: 0.000 0.447 0.250 (multiplicity 4)
Sm: 0.000 0.348 0.750 (multiplicity 4)
Sc: 0.000 0.153 0.750 (multiplicity 4)

Summary:
- Energy: -5.126 eV/atom

~~~~~

Here is crystalline SrTiSb3 at its relaxed geometry from Alexandria. Energies are from PBE.

Calculated values
Density of states at the Fermi level, states/eV/f.u.: 16.6
ΔE to the lowest computed polymorph, meV per atom: 1603
Total DFT energy (no corrections), eV/atom: -3.1581
Symmetry: Pm-3m, No. 221

Lattice parameters (Å, degrees): 5.826 5.826 5.826 90.00 90.00 90.00
Atoms (fractional coordinates):
Sr: 0.000 0.000 0.000
Ti: 0.500 0.500 0.500
Sb: 0.000 0.000 0.500
Sb: 0.000 0.500 0.000
Sb: 0.500 0.000 0.000

_Completed_
[1]
VASP calculation (PBE) on a relaxed CdIn2Cu crystal.

Cell: 4.405 3.382 6.524 Å, 64.80 90.00 90.00°
Element x y z (fractional)
In 0.000 0.887 0.981
In 0.000 0.613 0.519
Cd 0.500 0.250 0.250
Cu 0.500 0.750 0.750

Output
E_form   0.60 eV per formula unit
Theoretical density   7.66 g/cm3

***

[2]
VASP calculation (PBE) on a relaxed BaSeS5 crystal.

Cell: 9.244 9.244 9.425 Å, 59.09 59.09 38.18°
Element x y z (fractional)
Ba 0.358 0.642 0.250
S 0.322 0.158 0.649
S 0.436 0.210 0.175
S 0.158 0.322 0.149
Se 0.000 0.000 0.000
Ba 0.642 0.358 0.750
Se 0.000 0.000 0.500
S 0.790 0.564 0.325
S 0.564 0.790 0.825
S 0.210 0.436 0.675
S 0.144 0.856 0.750
S 0.842 0.678 0.851
S 0.856 0.144 0.250
S 0.678 0.842 0.351

Output
E_form (uncorrected)   -0.37 eV/atom
Theoretical density   2.99 g/cm3

~~~~~

Below is an optimized crystal structure of La3SmSc, with properties calculated at the PBE level.

a b c (Å): 5.164 25.043 5.170
angles (deg): 90.00 90.00 90.00
Space group Cmcm (No. 63)
Unique sites:
La: 0.000 0.052 0.250 (multiplicity 4)
La: 0.000 0.250 0.250 (multiplicity 4)
La: 0.000 0.447 0.250 (multiplicity 4)
Sm: 0.000 0.348 0.750 (multiplicity 4)
Sc: 0.000 0.153 0.750 (multiplicity 4)

Summary:
- Energy: -5.126 eV/atom

~~~~~

Here is crystalline SrTiSb3 at its relaxed geometry from Alexandria. Energies are from PBE.

Calculated values
Density of states at the Fermi level, states/eV/f.u.: 16.6
ΔE to the lowest computed polymorph, meV per atom: 1603
Total DFT energy (no corrections), eV/atom: -3.1581
Symmetry: Pm-3m, No. 221

Lattice parameters (Å, degrees): 5.826 5.826 5.826 90.00 90.00 90.00
Atoms (fractional coordinates):
Sr: 0.000 0.000 0.000
Ti: 0.500 0.500 0.500
Sb: 0.000 0.000 0.500
Sb: 0.000 0.500 0.000
Sb: 0.500 0.000 0.000